Liberal Group Puts Bounty on Head of Chamber of Commerce CEO

Well these Marxist Radicals could not have proved it more plainly that they will go to any length to silence and destroy anyone who is not with them on their agenda to socialize this country and continue in their progressive views of Healthcare and Global Warming.

Chamber of Commerce CEO Tom Donohue is a wanted man -- at least according to the liberal activist group that's put a de facto bounty on his head. 
By Judson Berger-


A network of liberal groups known as Velvet Revolution started an ad campaign offering $200,000 for information leading to the arrest and conviction of the man whose trade organization has become a thorn in the side of the Obama administration and congressional Democrats.

The group is not leveling any specific charges of criminal behavior. Rather, it is casting a wide net, fishing for any whistleblowers from Donohue's past who might come forward with allegations of wrongdoing. The campaign against the Chamber was launched in response to the group's opposition to climate change legislation and health care reform, and its plan to spend $100 million lobbying against these and other initiatives.

"On every issue, the Chamber is kind of the lead corporate advocate for the status quo," said Kevin Zeese, a lawyer who sits on the board for Velvet Revolution, calling Donohue a "knee-jerk reactionary" and the Chamber a "right-wing extremist group."

The Chamber of Commerce, meanwhile, decried the ad campaign and threatened possible legal action.

"The media should be following the money trail behind this scurrilous group instead of giving credence to its outrageous tactics -- and we are considering legal options with the ad," spokesman Eric Wohlschlegel said.

Misplaced records of crystals =
'''
Entry 1:
CaSnAu | PBE-GGA | relaxed

Cell: 6.047 6.047 6.047 Å, 133.27 105.21 92.99°
Positions (direct):
1 Ca 0.000 0.000 0.000
2 Ca 0.557 0.057 0.500
3 Sn 0.153 0.361 0.792
4 Sn 0.569 0.361 0.208
5 Au 0.422 0.692 0.729
6 Au 0.963 0.692 0.271

Results
- VASP energy (Ry per atom) = -0.281
- energy of formation from the pure elements (meV/atom) = -730
- symmetry = No. 44
- D(E_F) (states/eV/cell) = 2.06

=====

Entry 2:
Ca2SnAu | PBE-GGA | relaxed

Cell: 6.787 6.787 6.787 Å, 104.71 104.71 119.49°
Positions (direct):
1 Ca 0.099 0.625 0.974
2 Ca 0.375 0.349 0.474
3 Ca 0.651 0.125 0.026
4 Ca 0.875 0.901 0.526
5 Sn 0.250 0.750 0.500
6 Sn 0.500 0.500 0.000
7 Au 0.000 0.000 0.000
8 Au 0.750 0.250 0.500

Results
- VASP energy (Ry per atom) = -0.238
- energy of formation from the pure elements (meV/atom) = -412
- symmetry = No. 122
- D(E_F) (states/eV/cell) = 7.01

=====

Entry 3:
Ca2SnAu3 | PBE-GGA | relaxed

Cell: 9.574 9.052 5.990 Å, 76.04 66.57 37.39°
Positions (direct):
1 Ca 0.238 0.762 0.762
2 Ca 0.250 0.250 0.250
3 Ca 0.750 0.750 0.750
4 Ca 0.762 0.238 0.238
5 Sn 0.334 0.334 0.666
6 Sn 0.666 0.666 0.334
7 Au 0.168 0.168 0.832
8 Au 0.169 0.664 0.336
9 Au 0.336 0.831 0.169
10 Au 0.664 0.169 0.831
11 Au 0.831 0.336 0.664
12 Au 0.832 0.832 0.168

Results
- VASP energy (Ry per atom) = -0.268
- energy of formation from the pure elements (meV/atom) = -677
- symmetry = No. 69
- D(E_F) (states/eV/cell) = 4.79

=====

Repeat the first record exactly.
CaSnAu | PBE-GGA | relaxed

Cell: 6.047 6.047 6.047 Å, 133.27 105.21 92.99°
Positions (direct):
1 Ca 0.000 0.000 0.000
2 Ca 0.557 0.057 0.500
3 Sn 0.153 0.361 0.792
4 Sn 0.569 0.361 0.208
5 Au 0.422 0.692 0.729
6 Au 0.963 0.692 0.271

Results
- VASP energy (Ry per atom) = -0.281
- energy of formation from the pure elements (meV/atom) = -730
- symmetry = No. 44
- D(E_F) (states/eV/cell) = 2.06

=====

Q: Look up the energy of formation from the pure elements of the third one.
A: -677 meV/atom

=====

Q: Which value of energy of formation from the pure elements does entry 3 give?
A: -677 meV/atom
'''

The Chamber has already taken a lot of heat from the White House. Top aides tried to neutralize the group earlier in the year by doing an end-run around the organization and dealing directly with members, as some big companies, like Apple, peeled off from the Chamber due to disagreements over issues like climate change.

The organization was also not invited to Obama's jobs forum in Washington last week.

But Zeese said the White House has nothing to do with the bounty on Donohue.

"It's individual donors. We have no connection to the White House or unions or anything like that," he said.

Velvet Revolution launched the StoptheChamber campaign in October and started offering a bounty for information on Donohue a month later. A $100,000 reward was increased to $200,000 early this month, thanks to what Zeese called a "handful of larger donors" whom he would not identify.

A full-page print ad that looks like a "wanted" poster out of the wild West began to run in the Washington City Paper this week. It features a head shot of Donohue and offers a tip line for "insiders and whistleblowers possessing information not already in the public domain."

The tip line is live. When called, the operator asked for "criminal" information about Donohue.

Zeese said that a handful of tips have come in which the group is "pursuing."

He said the hope is to forward any damaging information onto the Justice Department or Congress for further investigation.